Brief:
The reader should repeat all of the entries below verbatim.

Contents:
<<<
[1]
>>>

Reply:
[1]